Q&A: Vegan myths busted
Is eating fewer animal products one of your New Year’s Resolutions? It’s a great idea in theory, but saying no to steak, sausage and double pepperoni pizza might be harder in reality. That’s why many of us try “Veganuary“, one month of pure vegan nourishment.
Many famous faces such as comedian Kaya Yanar, YouTuber Rezo and actors Ralf Moeller and Joaquin Phoenix are trying it this year. But how can you make the transition to plant-based products as simple as possible?
Information is key
# Someone pasted calculated molecules at this point
/*
No. 1
17 unconnected molecules or ions with the total composition C30H57Cl32N3O3 in a non-equilibrium geometry. Source: the Open Molecules 2025 dataset; level of theory: the ωB97M-V functional and the def2-TZVPD basis.

Structure (ORCA input):
```
! RIJCOSX wB97M-V def2-TZVPD def2/J DEFGRID3
* xyz 0 1
C 5.02499 -2.89296 0.69100
C 4.18659 -1.70365 0.18560
C 2.68528 -2.01129 0.15426
C 2.41770 -2.96940 -1.02595
C 1.76011 -0.69969 0.08605
C 2.01956 -0.11818 -1.29586
C 1.84945 1.37464 -1.49362
C 0.95618 2.19171 -0.44210
O 2.51381 2.24214 -0.73209
C 2.18005 0.00460 1.37338
O 3.05037 0.81871 1.56724
N 1.41950 -0.55055 2.36579
C 0.18073 -1.14512 1.91002
N -0.10159 -2.43138 2.54971
C 0.34941 -1.25291 0.36374
C -0.88502 -0.61073 -0.29553
C -1.37596 -1.31593 -1.58000
C -2.88546 -1.30134 -1.73000
N -3.59809 -0.11475 -1.37225
O -3.47616 -2.26713 -2.12691
H 4.50580 -3.37407 1.52166
H 5.96162 -2.48930 1.06917
H 5.22519 -3.61224 -0.10111
H 4.52865 -1.47987 -0.82906
H 4.43393 -0.83417 0.79007
H 2.44730 -2.55370 1.07004
H 2.49968 -3.98994 -0.65243
H 3.17672 -2.87237 -1.80134
H 1.41803 -2.86550 -1.44349
H 3.00851 -0.33737 -1.70206
H 1.28981 -0.55042 -1.98523
H 1.72007 1.70076 -2.52956
H 0.90754 3.09972 0.15461
H 0.47564 2.71375 -1.31800
H 1.46594 -0.13330 3.28272
H -0.60960 -0.43280 2.15219
H 0.46080 -2.52212 3.38840
H -1.06524 -2.43407 2.86809
H 0.26737 -2.31728 0.15562
H -1.69630 -0.66656 0.43429
H -0.75448 0.44727 -0.51018
H -1.05798 -2.35453 -1.63026
H -0.99453 -0.75379 -2.44002
H -3.17103 0.73591 -1.72853
H -3.69659 -0.02284 -0.36904
C -2.97119 -0.03834 4.96027
Cl -3.53256 -1.55599 4.24567
Cl -1.59487 0.65011 4.07981
H -3.77665 0.67554 4.92715
H -2.66590 -0.22666 5.98232
C -5.71431 0.46910 8.12726
Cl -5.50720 1.10603 6.48581
Cl -6.51354 -1.10319 8.13893
H -4.73319 0.36222 8.57344
H -6.31804 1.17165 8.68804
C 1.19760 -7.21293 -0.62903
Cl 2.57213 -6.79288 0.40003
Cl 1.54867 -6.99287 -2.34724
H 0.95090 -8.25422 -0.46201
H 0.36445 -6.57132 -0.36778
C -1.41429 -8.03376 -5.20445
Cl 0.03158 -7.27147 -5.88100
Cl -1.08243 -8.86715 -3.68239
H -2.15231 -7.26376 -5.01631
H -1.78446 -8.75896 -5.91830
C 4.95044 -8.78603 -2.39255
Cl 6.36088 -8.00403 -3.11715
Cl 5.34014 -9.59015 -0.86619
H 4.20064 -8.02948 -2.19610
H 4.57832 -9.53036 -3.08562
C -3.63263 3.55088 -0.43609
Cl -3.24488 4.30959 1.10900
Cl -2.18856 2.87225 -1.21393
H -4.33710 2.74530 -0.26214
H -4.05906 4.29762 -1.09260
C -5.25473 6.93109 -3.10655
Cl -5.58124 6.41621 -1.44554
Cl -4.20416 5.78504 -3.95010
H -6.19534 6.99573 -3.63938
H -4.76559 7.89582 -3.07669
C -2.15573 9.49025 -4.58518
Cl -2.02046 11.18746 -4.10699
Cl -3.69757 9.14450 -5.37729
H -1.35818 9.26219 -5.28163
H -2.07996 8.87655 -3.69517
C -4.67239 4.57442 4.60713
Cl -3.62801 3.15388 4.44750
Cl -4.36210 5.47142 6.09834
H -4.48044 5.23088 3.76567
H -5.70474 4.24465 4.61289
C 4.32299 4.64082 0.81687
Cl 3.27453 6.00110 1.24480
Cl 5.64246 4.42672 1.97767
H 3.73154 3.73201 0.80791
H 4.74991 4.82956 -0.15988
C -1.40445 -11.84893 -0.85385
*/
Before you start cleaning out your kitchen cupboards, you should be well informed. So we asked Kirsten Kaminsik aka “@thetastyk” to debunk common vegan myths and demonstrate how a vegan diet doesn’t mean you have to do without.

Kirsten became a vegan overnight in 2015. She’s the founder of The Tasty K, one of Germany’s most popular plant-based nutrition blogs and author of Vegan Holiday Cooking.
Kirsten is the face of the vegan food revolution, inspiring her 375,000 Instagram followers with healthy, animal-free inspiration every day.
For this week’s Q&A, Kirsten shares some vegan wisdom including the best way to get set up to stick with veganism long term.Then it’s your turn – if you have any questions for our expert, just post them on our Instagram channel.
In her live talk, Kirsten will be available to answer your questions on our channel on Friday, 22.01.2021 from 16.30.
Myth 1 – You can become a vegan overnight.
There are people who become vegan overnight (usually motivated by ethical reasons) and there are those who change their diet step by step, making smaller changes such as switching to oat milk or nut butter.
There is no right or wrong way to do this, and each person must find out for themselves what suits them best. The most important thing is that you feel comfortable.
In my experience, it’s easier to make long-term changes when you have external motivation – like ethical reasons, environmental or health – especially if you get informed before you make the change.
What constitutes a vegan diet in the first place? What nutrients should you eat? Which foods contain them? I suggest making a list of food with nutritious ingredients that you love, so you can start by veganising your favorite dishes. This’ll double up as a journey of culinary discovery!
To be on the safe side, I suggest visiting your doctor to test your blood to ensure you aren’t missing any key nutrients, and for a full understanding of what your body needs.
Myth 2 – As a vegan you can hardly eat anything.
The best thing about vegan cooking is the never-ending discovery of new ingredients and flavour combinations. From vegetables and fruits, nuts and seeds, legumes, grains and spices, our plant world is so diverse it’s impossible to get bored.
What’s more, the basic ingredients of a vegan diet are actually very affordable: seasonal vegetables and fruits, as well as grains and legumes, are far from expensive items. However, if you don’t have time to cook and would prefer to buy vegan convenience and substitute products, it can get more expensive. For me personally, a healthy balance of lots of inexpensive whole-food ingredients with few vegan substitutes works best. It’s healthier for me and better for my wallet.
Myth 3 – Going vegan is hard to stick with.
Eating, like many things, is a matter of habit. When you change your diet for a prolonged period of time, it becomes the norm. I’ve been living vegan for over five years now and this lifestyle has become my idea of normal. The benefits of a vegan diet for our environment, our own health, and animal welfare is clear. Living vegan is most definitely worth it.
For me, health was the main reason to give up animal foods. Vegan nutrition contributes demonstrably to lower blood pressure and better blood fat values. Now my lifestyle has changed permanently because I couldn’t return to a life eating animal products with a clear conscience.
When it comes to veganism, your health and personal well-being should come first. It’s especially important to pay attention to the changing nutritional value of your diet, and ensure that vitamin B12 is supplemented as a rule, since that is almost exclusively found in animal-based food products.
Your doctor will be able to tell you of any other potential deficiencies to look out for – but when you turn vegan, you’ll naturally increase your nutritional intake with all those delicious plant-based foods.
To conclude
Veganism doesn’t have to be extreme. Breaking old habits might feel challenging at first, but you don’t have to change everything at once, and you can even dip in and out of it. Just thinking about these changes is a good thing – for animals, for the environment, for the climate and for your health.